
Coming Up: 25th Oct - NIPA Round 2 Selection Night

This week is Round 2 selection of the NIPA club competitions where each member can submit 1 x Colour print, 1 x Mono print and 1 x PDI (Either colour or mono).

Remember that in order to submit a PDI you must log into the website using the username and password which was sent to when you registered. If anyone is having problems with this please contact Matt our website administrator using the contact section of the website or alternatively email me.

This Thursday is also showing of Round 1 at Christian Brothers. If anyone would like to attend the evening and wishes to submit images please contact me directly to arrange collections of prints.


Barry Lau

Such beautiful people

BPIC's first studio night of the season kicked off with a brief introduction around the different light setups that the club currently uses, tungsten and strobe (flash).

Barry spoke about the problems some may face, such as white balance and camera sync speed and how both lighting setups differ.

Barry then covered the recent success of both members getting starred prints at NIPA and also the displaying of round 1 at Christian brothers next Thursday, this unfortunately clashes with the round 2 selection night.

PAGB PDI Competition Results

In the Open section NIPA came 13th out of 15 federations.  492 images were entered with only 210 being selected to make up an exhibition.  Of the 210 in the exhibition only 5 came from NIPA.  Of those 5, 2 came from BPIC's Ross McKelvey.

​The Judge

​The Judge



In the Natural History section NIPA came 14th out of 14 federations.  317 images were entered with only 75 being selected to make up an exhibition.  Of the 75 in the exhibition only 1 came from NIPA.  This image came from BPIC's Martin Lamb.

​Puffin Hijack

​Puffin Hijack

NIPA may not have performed well, but BPIC were extremely well represented in the NIPA entry.  Well done guys!

Coming Up: 18th Oct - Studio Night

Hi Everyone,

This week is our first studio night of the season. It will be the perfect opportunity to get a hands on approach with studio lighting as well as the opportunity to ask any questions about any topics you may be struggling with.

Instead of bringing in a professional model we will be shooting each other! This is a great way to meet and chat to other members and get comfortable taking shots in a studio environment.

Feel free to bring along any props or items of interest to make your photograph that bit different - Hats, scarfs, glasses etc.

I look forward to seeing you there!



Janine Walker

**Next to the article, the page also holds materials data**
........
Density functional theory data (PBE) for TaTl2I6 after structural relaxation.

Summary:
- total moment (μB per atom) = 0.111
- density (g/cm3) = 5.97
- D(E_F) (states/eV per atom) = 0.663
- energy relative to the elements, uncorrected (meV per atom) = -507

Cell: 7.9067 11.0885 8.5787 Å, 90.00 90.00 90.94°
Sites, in units of the cell vectors:
Ta 0.5000 0.0000 0.5000
Ta 0.0000 0.5000 0.0000
Tl 0.0259 0.2473 0.5945
Tl 0.4741 0.2527 0.0945
Tl 0.5259 0.7473 0.9055
Tl 0.9741 0.7527 0.4055
I 0.0900 0.7452 0.0130
I 0.1767 0.4585 0.2778
I 0.2071 0.0454 0.3246
I 0.2929 0.4546 0.8246
I 0.3233 0.0415 0.7778
I 0.4100 0.7548 0.5130
I 0.9100 0.2548 0.9870
I 0.8233 0.5415 0.7222
I 0.7929 0.9546 0.6754
I 0.7071 0.5454 0.1754
I 0.6767 0.9585 0.2222
I 0.5900 0.2452 0.4870

----------

A relaxed structure of AgP2Pt4. Source: Alexandria via LeMat-Bulk, functional PBE.

It has space group I4/mmm (No. 139), with a = 4.875 Å, b = 4.875 Å, c = 11.998 Å, α = 90.00°, β = 90.00° and γ = 90.00°. Symmetry generates all atoms from Ag at (0.000, 0.000, 0.000), P at (0.000, 0.000, 0.405), Pt at (0.000, 0.000, 0.227) and Pt at (0.000, 0.500, 0.000).

The calculation puts the formation energy at 0.70 eV/atom. The final energy is -4.708 eV per atom. The total magnetization comes out at 0.00 μB per cell. The density of states at the Fermi level is 0.617 states/eV per atom.

----------

(1)
HfAl5Pd | GGA-PBE | optimized geometry

Structure (extended XYZ):
```
7
Lattice="-1.785 3.036 2.349 -3.336 -2.509 0.707 3.028 -2.476 5.500" Properties=species:S:1:pos:R:3 pbc="T T T"
Pd 1.514 -1.238 2.750
Hf 0.000 0.000 0.000
Al -0.018 0.803 2.764
Al 0.485 -3.015 4.265
Al -2.561 0.264 1.528
Al 1.261 -0.242 5.086
Al -0.793 -1.970 1.943
```

As for the space-group type: P4/mmm (123). The total magnetization is 0.00 Bohr magnetons per cell. Its energy of formation from the pure elements is -3.2 eV per formula unit. The volume comes out at 17.28 Å³ per atom. Its density of states at the Fermi level is 3.1 states/eV per cell.

=====

(2)
Hf2Al2Pd5 | GGA-PBE | optimized geometry

Structure (extended XYZ):
```
18
Lattice="7.214 0.000 0.000 0.000 6.479 0.000 -3.607 -3.240 6.783" Properties=species:S:1:pos:R:3 pbc="T T T"
Pd -1.407 -1.047 3.391
Hf -0.185 3.567 1.663
Al 3.474 4.349 3.391
Pd 5.809 1.646 0.340
Pd 5.012 4.885 0.341
Pd 2.226 2.513 4.680
Pd 2.226 2.513 2.102
Al 0.133 1.110 3.391
Al 0.000 6.100 0.000
Pd 5.014 2.192 3.391
Pd -1.405 1.646 6.442
Hf 3.792 0.328 1.663
Al 3.607 2.860 0.000
Hf 3.792 0.328 5.120
Hf -0.185 3.567 5.120
Pd 1.381 -0.726 4.680
Pd -2.202 -1.594 6.442
Pd 1.381 -0.726 2.102
```

As for the space-group type: Ima2 (46). The total magnetization is 0.00 Bohr magnetons per cell. Its energy of formation from the pure elements is -5.0 eV per formula unit. The volume comes out at 17.61 Å³ per atom. Its density of states at the Fermi level is 7.9 states/eV per cell.

=====

(3)
HfAl3Pd | GGA-PBE | optimized geometry

Structure (extended XYZ):
```
5
........

Last night we had the first guest speaker of the season, and what a start it was!

Janine Walker was new to public speaking, but you wouldn't have believed, she kept the audience engaged, inspired and amused as she detailed the evolution of her career and talked about her workflow and methodology.

You can find out more about Janine here and she was kind enough to share a list of her inspirations with us; 

Thanks Janine.

Coming Up: 11th Oct - Guest Speaker - Janine Walker

Hi Everyone,

This week we have our first guest speaker, Janine Walker.  

Janine specialises in both wedding and kids photography. She had managed to carve herself a successful career alongside caring for her three young children. 

You can check out her fantastic work at:

Misplaced records of crystals
********
No. 1
# Pr3TeP2 (PBE, relaxed)
data_Pr3TeP2
_space_group_name_H-M_alt 'P -3 m 1'
_space_group_IT_number 164
_space_group_name_Hall '-P 3 2"'
_cell_length_a 4.2703
_cell_length_b 4.2703
_cell_length_c 10.7864
_cell_angle_alpha 90.00
_cell_angle_beta 90.00
_cell_angle_gamma 120.00
loop_
_atom_site_label
_atom_site_type_symbol
_atom_site_fract_x
_atom_site_fract_y
_atom_site_fract_z
Pr1 Pr 0.0000 0.0000 0.0000
Pr2 Pr 0.3333 0.6667 0.3012
Te1 Te 0.0000 0.0000 0.5000
P1 P 0.3333 0.6667 0.8413
# Size of the total moment = 0.002 μB per formula unit
# Total DFT energy (no corrections) = -37.74 eV/cell
# V = 28.391 Å³ per atom


No. 2
# PrTh3P4 (PBE, relaxed)
data_PrTh3P4
_space_group_name_H-M_alt 'P m -3 m'
_space_group_IT_number 221
_space_group_name_Hall '-P 4 2 3'
_cell_length_a 5.8729
_cell_length_b 5.8729
_cell_length_c 5.8729
_cell_angle_alpha 90.00
_cell_angle_beta 90.00
_cell_angle_gamma 90.00
loop_
_atom_site_label
_atom_site_type_symbol
_atom_site_fract_x
_atom_site_fract_y
_atom_site_fract_z
Pr1 Pr 0.0000 0.0000 0.0000
Th1 Th 0.0000 0.5000 0.5000
P1 P 0.0000 0.0000 0.5000
P2 P 0.5000 0.5000 0.5000
# Size of the total moment = 0.005 μB per formula unit
# Total DFT energy (no corrections) = -61.10 eV/cell
# V = 25.320 Å³ per atom


No. 3
# PrY2P3 (PBE, relaxed)
data_PrY2P3
_space_group_name_H-M_alt 'P -3 m 1'
_space_group_IT_number 164
_space_group_name_Hall '-P 3 2"'
_cell_length_a 4.0761
_cell_length_b 4.0761
_cell_length_c 9.9759
_cell_angle_alpha 90.00
_cell_angle_beta 90.00
_cell_angle_gamma 120.00
loop_
_atom_site_label
_atom_site_type_symbol
_atom_site_fract_x
_atom_site_fract_y
_atom_site_fract_z
Pr1 Pr 0.0000 0.0000 0.0000
Y1 Y 0.3333 0.6667 0.3380
P1 P 0.0000 0.0000 0.5000
P2 P 0.3333 0.6667 0.8237
# Size of the total moment = 0.002 μB per formula unit
# Total DFT energy (no corrections) = -43.43 eV/cell
# V = 23.923 Å³ per atom


No. 4
# Pr2YP3 (PBE, relaxed)
data_Pr2YP3
_space_group_name_H-M_alt 'P -3 m 1'
_space_group_IT_number 164
_space_group_name_Hall '-P 3 2"'
_cell_length_a 4.1421
_cell_length_b 4.1421
_cell_length_c 10.1277
_cell_angle_alpha 90.00
_cell_angle_beta 90.00
_cell_angle_gamma 120.00
loop_
_atom_site_label
_atom_site_type_symbol
_atom_site_fract_x
_atom_site_fract_y
_atom_site_fract_z
Pr1 Pr 0.3333 0.6667 0.3287
Y1 Y 0.0000 0.0000 0.0000
P1 P 0.0000 0.0000 0.5000
P2 P 0.3333 0.6667 0.8427
# Size of the total moment = 0.005 μB per formula unit
# Total DFT energy (no corrections) = -41.52 eV/cell
# V = 25.080 Å³ per atom


No. 5
# P4Pt (PBE, relaxed)
data_P4Pt
_space_group_name_H-M_alt 'C 1 2/c 1'
_space_group_IT_number 15
_cell_length_a 5.1402
_cell_length_b 10.5398
_cell_length_c 6.8885
_cell_angle_alpha 90.00
_cell_angle_beta 108.14
_cell_angle_gamma 90.00
loop_
_space_group_symop_operation_xyz
'x,y,z'
'-x,-y,-z'
'-x,y,-z+1/2'
'x,-y,z+1/2'
'x+1/2,y+1/2,z'
'-x+1/2,-y+1/2,-z'
'-x+1/2,y+1/2,-z+1/2'
'x+1/2,-y+1/2,z+1/2'
loop_
_atom_site_label
_atom_site_type_symbol
_atom_site_fract_x
_atom_site_fract_y
********
The entry goes on

Hopefully she will share a few secrets of her success with us on Thursday night! 


Last Night: Critique Night

We kicked off last night's session by reviewing the PDI submission for NIPA round 1, members can find full results and judges comments here.

We then spent the rest of the evening in an informal critique of member's work, many thanks to Terry McCreesh and Gerald Gribbon for leading the proceedings with their insightful and constructive comments.  

We also encouraged feedback from the audience and were delighted with the amount of participation from a largely novice audience, as well as keen insights from the more experienced members.

We also introduced this season's membership card, please see Helen to receive yours.  A special shout out goes to Gerald Gribbon for the design and Brian Maguire for arranging the printing.

Coming Up: 4th Oct - Beginners - Bring your best images for critique/feedback

Hi All,

This week we have "Beginners - Bring your best images for critique/feedback". This is a fantastic opportunity for everyone to bring along your images digitally or in print to be viewed and to receive feedback and ways of improving yours photos by simple techniques from our more advanced members.

Whilst we don't like to encourage people to skip club nights, we felt we had to let you know that Donal McCann will be giving a talk alongside another Fellow of the RPS at Christian Brothers. This will be around both successful Fellowship panels. The evening is open to anyone wishing to attend. The address for the club for those wishing to pop along is 283-289 Antrim Road, Belfast, BT15 2GZ

I look forward to seeing you all on Thursday. As before, could I please ask for everyone's help in getting the room set up at the start of the evening and again at end. It is much appreciated.



Shorts Camera Club - My Titanic East Belfast Competition

BPIC member Roger Eager entered the Shorts Camera Club - My Titanic East Belfast Competition and I'm delighted to announce that his image came second overall in the colour section.

H W Blue.jpg

Roger's print is one of the 20 successful entries that will be displayed in an exhibition over the coming months, details of which, as well as the full selection of 20 images can be found here.